# Excerpt
/*
14
Properties=species:S:1:pos:R:3:nbo_charge:R:1 method="wB97M-V/def2-TZVPD" homo_lumo_gap_ha=0.3011 de_lowest_kj_mol=0.0 fmax_ev_per_a=0.25 energy_ha=-2936.17176 charge=-1
Br -0.12 1.87 -1.49 -0.148
Al 1.84 0.92 1.04 0.915
C -0.69 -0.39 0.18 -0.449
C 0.52 0.33 -0.40 -0.677
C -1.67 -1.02 -0.82 -0.618
H -1.45 -2.09 -0.98 0.188
H -1.61 -0.53 -1.79 0.211
H -1.22 0.29 0.85 0.204
H -0.28 -1.17 0.83 0.213
H 2.35 -0.49 1.69 -0.416
H -2.71 -0.96 -0.49 0.192
H 0.98 1.77 2.14 -0.405
H 3.07 1.77 0.40 -0.400
H 0.98 -0.31 -1.16 0.191

7
Properties=species:S:1:pos:R:3:nbo_charge:R:1 method="wB97M-V/def2-TZVPD" homo_lumo_gap_ha=0.3361 de_lowest_kj_mol=25.4 fmax_ev_per_a=1.66 energy_ha=-770.88352 charge=0 smiles=NP(O)I
I 2.44 0.15 -0.16 -0.222
P 0.25 -0.28 0.68 1.117
O -0.31 -1.39 -0.40 -1.015
N -0.47 1.07 0.01 -1.192
H -1.41 0.84 -0.28 0.395
H -0.54 1.90 0.53 0.400
H 0.04 -2.29 -0.38 0.517

85
Properties=species:S:1:pos:R:3:lowdin_charge:R:1 method="wB97M-V/def2-TZVPD" homo_lumo_gap_ha=0.2696 fmax_ev_per_a=1.62 energy_ha=-3318.15433 charge=+1
Cd -0.09 -0.01 1.04 1.308
S 1.34 2.01 2.01 0.528
S 3.36 -1.96 -1.81 0.931
S 3.59 0.06 0.37 0.865
O -3.61 -1.35 -1.48 0.048
O -1.32 -0.47 -0.76 -0.217
O 3.19 -1.16 6.72 0.083
N -1.25 2.75 2.07 -0.047
N 0.56 -1.64 -1.38 0.008
N -0.44 0.87 -3.13 0.087
N -2.03 -1.21 2.00 0.037
N 0.29 4.42 1.75 0.063
N -1.76 2.16 -1.41 0.120
N -1.53 1.45 2.07 -0.137
N 1.13 2.30 -1.34 0.044
N 1.27 -0.84 -0.55 -0.207
N 2.60 0.75 5.67 0.185
N 1.10 -1.53 2.51 -0.018
C 2.79 -0.59 5.73 -0.513
C -0.42 2.05 -4.00 -0.310
C 2.45 -1.33 4.47 -0.106
C -0.74 -1.43 -1.39 -0.489
C 5.04 -1.31 -1.45 -0.507
C -2.77 -0.43 2.81 -0.273
C -1.65 -4.07 -3.91 -0.084
C 2.83 -3.12 2.94 -0.030
C 0.01 3.10 1.94 -0.929
C -3.77 -0.95 3.63 -0.003
C -3.68 -3.10 -3.07 -0.008
C 1.41 -0.93 3.65 -0.148
C -4.04 -2.31 3.56 -0.038
C -1.66 3.37 -2.25 -0.294
C 0.91 3.40 -2.28 -0.360
C -3.32 -3.09 2.68 -0.029
C -2.31 -2.49 1.94 -0.123
C 3.16 -2.47 4.11 0.024
C -2.95 -2.24 -2.25 -0.269
C 1.80 -2.61 2.16 -0.148
C 5.09 -0.91 0.00 -0.499
C -1.67 2.89 -3.71 -0.087
C 0.85 2.87 -3.72 -0.099
C -0.92 -3.25 -3.09 -0.031
C -3.04 -4.00 -3.89 -0.071
C -2.46 0.99 2.83 -0.073
C -0.38 4.14 -1.93 -0.096
C -1.54 -2.32 -2.25 -0.107
C 2.55 -0.91 -0.64 -0.956
H -2.56 2.29 -3.89 0.127
H -3.61 -4.66 -4.52 0.108
H 0.78 -0.09 3.92 0.078
H 1.73 4.13 -2.24 0.143
H 1.22 4.70 2.00 0.082
H 3.35 -4.02 2.62 0.114
H -0.37 4.39 -0.86 0.101
H 2.83 1.29 6.48 0.120
H -1.11 1.35 -2.05 0.073
H -0.40 5.08 -2.48 0.130
H -1.70 3.75 -4.38 0.131
H -1.15 -4.77 -4.56 0.103
H 1.24 2.68 -0.40 -0.005
H 0.16 -3.29 -3.07 0.103
H -2.72 1.84 -1.31 0.147
H -2.51 4.03 -2.07 0.152
H -2.91 -0.87 -0.98 0.054
H 2.03 1.86 -1.55 0.065
H 3.95 -2.83 4.76 0.130
H -4.76 -3.04 -3.04 0.119
H -3.01 1.64 3.51 0.133
H -0.91 0.07 -3.55 0.129
H -0.44 5.07 1.99 0.102
H 5.09 -1.78 0.66 0.075
H 0.49 0.59 -2.83 0.098
H -1.35 2.28 -0.49 0.086
H 2.40 1.23 4.81 0.065
H 5.21 -0.45 -2.11 0.076
H 5.94 -0.28 0.23 0.084
H -4.81 -2.74 4.18 0.116
H 0.87 3.71 -4.41 0.129
H -4.31 -0.31 4.30 0.117
H 1.53 -3.07 1.22 0.110
H -1.70 -3.08 1.26 0.116
H 5.76 -2.09 -1.68 0.082
H -0.42 1.76 -5.06 0.149
H -3.52 -4.15 2.57 0.112
H 1.72 2.25 -3.92 0.123

175
Properties=species:S:1:pos:R:3:lowdin_charge:R:1 method="wB97M-V/def2-TZVPD" homo_lumo_gap_ha=0.1522 fmax_ev_per_a=4.74 energy_ha=-5822.78505 charge=+1
P -31.80 15.89 -3.96 0.514
P -30.26 9.20 -0.82 0.587
P -24.93 12.41 -4.97 0.576
P -25.77 10.34 -0.48 0.562
Al -28.55 12.96 -2.66 1.560
O -30.18 9.10 0.83 -0.179
O -29.98 7.71 -1.38 -0.189
O -27.60 15.70 -3.23 0.097
O -24.67 10.92 -5.52 -0.158
O -25.01 15.52 0.35 -0.048
O -31.38 17.36 -4.60 -0.200
O -26.35 8.79 -0.59 -0.208
O -29.54 14.30 -7.33 -0.017
O -29.77 9.20 -5.44 0.141
O -24.15 13.48 -0.21 -0.001
O -31.86 9.42 -1.08 -0.206
O -25.91 14.32 -1.44 0.075
O -28.19 10.28 -4.28 0.031
O -26.01 12.65 -3.95 -0.240
O -30.65 14.98 -3.66 -0.233
O -23.44 12.89 -4.59 -0.155
O -24.19 10.18 -0.94 -0.196
O -30.00 14.83 1.60 0.143
O -28.15 14.00 -5.50 0.100
*/
# Activity
Your job: give back all of the notes further above unchanged.
# Outcome
14
Properties=species:S:1:pos:R:3:nbo_charge:R:1 method="wB97M-V/def2-TZVPD" homo_lumo_gap_ha=0.3011 de_lowest_kj_mol=0.0 fmax_ev_per_a=0.25 energy_ha=-2936.17176 charge=-1
Br -0.12 1.87 -1.49 -0.148
Al 1.84 0.92 1.04 0.915
C -0.69 -0.39 0.18 -0.449
C 0.52 0.33 -0.40 -0.677
C -1.67 -1.02 -0.82 -0.618
H -1.45 -2.09 -0.98 0.188
H -1.61 -0.53 -1.79 0.211
H -1.22 0.29 0.85 0.204
H -0.28 -1.17 0.83 0.213
H 2.35 -0.49 1.69 -0.416
H -2.71 -0.96 -0.49 0.192
H 0.98 1.77 2.14 -0.405
H 3.07 1.77 0.40 -0.400
H 0.98 -0.31 -1.16 0.191

7
Properties=species:S:1:pos:R:3:nbo_charge:R:1 method="wB97M-V/def2-TZVPD" homo_lumo_gap_ha=0.3361 de_lowest_kj_mol=25.4 fmax_ev_per_a=1.66 energy_ha=-770.88352 charge=0 smiles=NP(O)I
I 2.44 0.15 -0.16 -0.222
P 0.25 -0.28 0.68 1.117
O -0.31 -1.39 -0.40 -1.015
N -0.47 1.07 0.01 -1.192
H -1.41 0.84 -0.28 0.395
H -0.54 1.90 0.53 0.400
H 0.04 -2.29 -0.38 0.517

85
Properties=species:S:1:pos:R:3:lowdin_charge:R:1 method="wB97M-V/def2-TZVPD" homo_lumo_gap_ha=0.2696 fmax_ev_per_a=1.62 energy_ha=-3318.15433 charge=+1
Cd -0.09 -0.01 1.04 1.308
S 1.34 2.01 2.01 0.528
S 3.36 -1.96 -1.81 0.931
S 3.59 0.06 0.37 0.865
O -3.61 -1.35 -1.48 0.048
O -1.32 -0.47 -0.76 -0.217
O 3.19 -1.16 6.72 0.083
N -1.25 2.75 2.07 -0.047
N 0.56 -1.64 -1.38 0.008
N -0.44 0.87 -3.13 0.087
N -2.03 -1.21 2.00 0.037
N 0.29 4.42 1.75 0.063
N -1.76 2.16 -1.41 0.120
N -1.53 1.45 2.07 -0.137
N 1.13 2.30 -1.34 0.044
N 1.27 -0.84 -0.55 -0.207
N 2.60 0.75 5.67 0.185
N 1.10 -1.53 2.51 -0.018
C 2.79 -0.59 5.73 -0.513
C -0.42 2.05 -4.00 -0.310
C 2.45 -1.33 4.47 -0.106
C -0.74 -1.43 -1.39 -0.489
C 5.04 -1.31 -1.45 -0.507
C -2.77 -0.43 2.81 -0.273
C -1.65 -4.07 -3.91 -0.084
C 2.83 -3.12 2.94 -0.030
C 0.01 3.10 1.94 -0.929
C -3.77 -0.95 3.63 -0.003
C -3.68 -3.10 -3.07 -0.008
C 1.41 -0.93 3.65 -0.148
C -4.04 -2.31 3.56 -0.038
C -1.66 3.37 -2.25 -0.294
C 0.91 3.40 -2.28 -0.360
C -3.32 -3.09 2.68 -0.029
C -2.31 -2.49 1.94 -0.123
C 3.16 -2.47 4.11 0.024
C -2.95 -2.24 -2.25 -0.269
C 1.80 -2.61 2.16 -0.148
C 5.09 -0.91 0.00 -0.499
C -1.67 2.89 -3.71 -0.087
C 0.85 2.87 -3.72 -0.099
C -0.92 -3.25 -3.09 -0.031
C -3.04 -4.00 -3.89 -0.071
C -2.46 0.99 2.83 -0.073
C -0.38 4.14 -1.93 -0.096
C -1.54 -2.32 -2.25 -0.107
C 2.55 -0.91 -0.64 -0.956
H -2.56 2.29 -3.89 0.127
H -3.61 -4.66 -4.52 0.108
H 0.78 -0.09 3.92 0.078
H 1.73 4.13 -2.24 0.143
H 1.22 4.70 2.00 0.082
H 3.35 -4.02 2.62 0.114
H -0.37 4.39 -0.86 0.101
H 2.83 1.29 6.48 0.120
H -1.11 1.35 -2.05 0.073
H -0.40 5.08 -2.48 0.130
H -1.70 3.75 -4.38 0.131
H -1.15 -4.77 -4.56 0.103
H 1.24 2.68 -0.40 -0.005
H 0.16 -3.29 -3.07 0.103
H -2.72 1.84 -1.31 0.147
H -2.51 4.03 -2.07 0.152
H -2.91 -0.87 -0.98 0.054
H 2.03 1.86 -1.55 0.065
H 3.95 -2.83 4.76 0.130
H -4.76 -3.04 -3.04 0.119
H -3.01 1.64 3.51 0.133
H -0.91 0.07 -3.55 0.129
H -0.44 5.07 1.99 0.102
H 5.09 -1.78 0.66 0.075
H 0.49 0.59 -2.83 0.098
H -1.35 2.28 -0.49 0.086
H 2.40 1.23 4.81 0.065
H 5.21 -0.45 -2.11 0.076
H 5.94 -0.28 0.23 0.084
H -4.81 -2.74 4.18 0.116
H 0.87 3.71 -4.41 0.129
H -4.31 -0.31 4.30 0.117
H 1.53 -3.07 1.22 0.110
H -1.70 -3.08 1.26 0.116
H 5.76 -2.09 -1.68 0.082
H -0.42 1.76 -5.06 0.149
H -3.52 -4.15 2.57 0.112
H 1.72 2.25 -3.92 0.123

175
Properties=species:S:1:pos:R:3:lowdin_charge:R:1 method="wB97M-V/def2-TZVPD" homo_lumo_gap_ha=0.1522 fmax_ev_per_a=4.74 energy_ha=-5822.78505 charge=+1
P -31.80 15.89 -3.96 0.514
P -30.26 9.20 -0.82 0.587
P -24.93 12.41 -4.97 0.576
P -25.77 10.34 -0.48 0.562
Al -28.55 12.96 -2.66 1.560
O -30.18 9.10 0.83 -0.179
O -29.98 7.71 -1.38 -0.189
O -27.60 15.70 -3.23 0.097
O -24.67 10.92 -5.52 -0.158
O -25.01 15.52 0.35 -0.048
O -31.38 17.36 -4.60 -0.200
O -26.35 8.79 -0.59 -0.208
O -29.54 14.30 -7.33 -0.017
O -29.77 9.20 -5.44 0.141
O -24.15 13.48 -0.21 -0.001
O -31.86 9.42 -1.08 -0.206
O -25.91 14.32 -1.44 0.075
O -28.19 10.28 -4.28 0.031
O -26.01 12.65 -3.95 -0.240
O -30.65 14.98 -3.66 -0.233
O -23.44 12.89 -4.59 -0.155
O -24.19 10.18 -0.94 -0.196
O -30.00 14.83 1.60 0.143
O -28.15 14.00 -5.50 0.100